
Functions are like tiny, self-contained programs – they allow you to execute a large block of code by just calling its name! And, we’ve already seen some functions at work: print(), len(), sum(), etc., so we have some idea of how they work.

Methods are also a thing – they are similar to functions, but they “attached” to an object and look like my_list.sort() (remember that .sort() acts on our original list, rather than returning a new list object).

Basic structure of a function

Functions take in inputs that we call parameters and return an output, using a return statement. Sample function below:

def function_name(parameter):
    some_variable = 0
    # a block of code where you do something with/to your parameter
    # a block of code where you do something with/to your parameter
    return some_item


  • You can pretty much name your parameter ANYTHING you want! Just like in our for loop structure (for item in my_list:) it doesn’t matter what you call item, it doesn’t matter what we call parameter, as long as you understand what it’s supposed to be. But, you probably don’t want to name it the same name as another variable that exists in your code somewhere – this will get confusing for all sentient and non-sentient beings involved!
  • You DO want to name your parameter something that reminds you what type of thing you want to pass as an input to your function.
    • For example: the sorted() function always takes in a list of numbers or strings. When you are writing your own function, you will want to think about what you want your function to accept as an input (how do you want to design your function?). If you were writing the sorted() function, you might do something like: def sorted(some_list):
  • If you define a variable within the body of your function, DO NOT use that variable name anywhere outside of that function.
  • Somewhat similarly, if you have a variable name you’ve used in your earlier in your code, DO NOT overwrite that variable within your function – just come up with a new name!

How to write a function

To start off your function, you have to tell Python that you’re about to define a function using: def function_name(parameter):. Pay special attention to syntax like :. The code indented below that first line is the code that will run when you call the function (so, as always, pay special attention to indentation).

In your indented code, you will probably do something to or with the parameter you’ve passed your function.

To get things out of your function, you have to use return.

Sample double() function

def double(number):
    bigger = number * 2
    return bigger

  • Note that the name number is not significant! we could have called that blahblahblah if we wanted – but we called it number just to make our code easier to read and understand.
  • Make sure that every name that you give your function is unique.

Debugging your function

Do you remember our #1 favorite hobby of all time? It’s PRINTING. But, we have to get a little tricky to our functions.

One, it’s always, always, always to write code incrementally. Build one line, test it, then add the text line.

For functions, you want to write both a function definition (as seen above in our sample double() function) AND call to that function. In other words, the only way you can check to see if a function works is to USE IT. For our double() function, we could use something like print(double(3)) to test our function.

If within the body of your function you are saving something to a variable, print that variable to make sure it actually holds what you think it holds.

Cron Jobs

Cron is a tool that allow us to automate tasks on our computer. By our crontab file, we can tell our computer how frequently we want it to run some command.

For example, in class, we edited our crontab files (in Terminal/Babun, run crontab -e to begin editing your crontab file) to tell our computers to announce the time every minute. The code looked like this: */1 * * * * say "it's a new minute". The */1 * * * * portion of this code looks pretty weird, but this is what tells your computer how frequently it should run the command that follows. Here’s more info about the format.

An aside: You can further customize how you want the say command to sound.

We can also do other cool, useful things (besides making our computers talk):

How to setup an automated task

  • We’re going to use a tool called Cron to schedule automated tasks
  • We can use the text editors called vi or nano to edit our crontab file.

Let’s get ready to edit our crontab file

  • export EDITOR=nano: sets your
  • crontab -e: lets us edit our configurations for tasks we want our computer to run automatically.

Possible lines we could add to our crontab file

  • */1 * * * * say "it's a new minute": for every minute divisible by 1, say it’s a new minute
  • */1 * * 6,7 1,3: Every minute on Mondays and Wednesdays of June and July, say it’s a new minute
  • Use the date command:
    • To get “Monday June 20 11:57 AM”: date +"%A %B %d, %I:%M %p"
    • echo date
    • Every other minute between 12-1: */2 12 * * * say date +”%A %B %d, %I:%M %p”``

IMPORTANT: Use # to command stuff out in crontab

When you run cronjob and there’s an error, it’ll send you an email about it. But not to your gmail or something – it’s mail related to your computer account… you can pretty much ignore it.

== Between two parts of the article: data records ==
/*
#a
# C4H7N3O2

C4H7N3O2 in the gas phase (wB97M-V/def2-TZVPD, the OMol25 dataset).

Properties
- orbital gap (eV) = 8.9
- HOMO level (eV) = -8.30
- structure (SMILES) = O/N=C1/NCC=CN1O
- total charge = 0

Geometry as XYZ:
```
16
C4H7N3O2 (wB97M-V/def2-TZVPD)
C -0.469 -0.574 0.173
C 1.998 -0.951 0.069
C 2.140 0.424 -0.357
C 1.256 1.320 -0.466
H -3.461 -0.669 -0.931
H 0.474 -2.338 -0.018
H 2.882 -1.194 0.870
H 2.620 -1.451 -0.892
H 3.053 0.804 -0.814
H 1.059 2.388 -0.855
H -1.812 1.734 0.346
N -1.643 -1.192 0.051
N 0.576 -1.476 0.529
N -0.086 0.787 0.020
O -2.435 -0.161 -0.647
O -0.852 1.734 0.845
```

Results of the Mulliken charge analysis, in e, for atoms 1 through 6:
1 C 0.49
2 C -0.26
3 C -0.30
4 C -0.47
5 H 0.35
6 H 0.33



#b
# C4H7N3O2

C4H7N3O2 in the gas phase (wB97M-V/def2-TZVPD, the OMol25 dataset).

Properties
- orbital gap (alpha / beta) (eV) = 7.5 / 7.5
- HOMO level (alpha / beta) (eV) = -8.24 / -8.24
- total charge = 0

Geometry as XYZ:
```
16
C4H7N3O2 (wB97M-V/def2-TZVPD)
C 0.598 0.579 0.485
C -1.743 0.167 -1.248
C 1.862 0.797 0.956
C -1.217 -2.124 -0.885
N 0.241 -0.533 -0.153
N -0.919 -0.704 -0.737
N 2.131 1.926 1.726
O 1.195 2.637 2.076
O 3.297 2.151 2.019
H -0.165 1.320 0.740
H -1.529 1.220 -1.178
H -2.619 -0.158 -1.773
H 2.698 0.160 0.725
H -2.288 -2.282 -0.981
H -0.710 -2.519 -1.765
H -0.834 -2.637 -0.007
```

Results of the Mulliken charge analysis, in e, for atoms 1 through 6:
1 C -0.07
2 C -0.20
3 C -0.61
4 C -0.83
5 N -0.82
6 N 0.58



#c
# C4H7N3O2

2 unconnected molecules or ions with the total composition C4H7N3O2 (wB97M-V/def2-TZVPD, the OMol25 dataset).

Properties
- orbital gap (eV) = 9.9
- HOMO level (eV) = -10.46
- structure (SMILES) = N#CCCC(=O)O.[H]/N=N/[H]
- total charge = 0

Geometry as XYZ:
```
16
C4H7N3O2 (wB97M-V/def2-TZVPD)
C -2.702 1.900 0.901
C -1.905 1.073 0.076
C -0.922 0.338 0.998
C 0.279 -0.299 0.407
N -3.437 2.361 1.639
N 2.832 -1.081 -1.520
N 2.853 -2.265 -1.042
O 0.825 -1.190 1.024
O 0.731 0.314 -0.660
H -1.246 1.586 -0.639
H -2.595 0.345 -0.479
H -0.403 0.954 1.848
H -1.371 -0.554 1.383
H 3.481 -1.021 -2.310
H 1.983 -2.451 -0.563
H 1.598 -0.010 -1.062
```

Results of the Mulliken charge analysis, in e, for atoms 1 through 6:
1 C 0.26
2 C -0.30
3 C -0.41
4 C 0.35
5 N -0.42
6 N -0.11



Which one sits at the top of the stability order? #c does.



#a
# C6H9F

C6H9F in the gas phase (wB97M-V/def2-TZVPD, the OMol25 dataset).

Properties
- orbital gap (eV) = 10.9
- HOMO level (eV) = -9.77
- structure (SMILES) = C=C1C[C@H]1[C@H](C)F
- total charge = 0

Geometry as XYZ:
```
16
C6H9F (wB97M-V/def2-TZVPD)
C 0.147 0.321 1.625
C 1.012 -0.092 2.509
C -0.592 1.256 0.761
C -0.583 -0.257 0.404
C -0.336 -1.049 -2.117
C 0.423 -0.715 -0.764
F 0.939 -1.903 -0.281
H 1.087 -1.133 2.592
H 1.581 0.598 3.134
H -1.414 1.805 1.160
H 0.203 1.842 0.128
H -1.505 -0.707 0.289
H -0.589 -2.154 -2.116
H 0.301 -0.857 -2.988
H -1.125 -0.252 -2.133
H 1.264 0.017 -1.008
```
*/
== End of the data records ==

Practical application: regularly scaping NYTimes homepage

We mayyy want to do something besides periodically making our computers talk. What if we wanted to periodically download the NYTimes homepage? We could use a cronjob to accomplish that task!

There are a couple of ways to handle this task:

  • We could use something like: curl > ~/Desktop/nytimes.txt
    • This will grab the nytimes page, save and download it.
    • But each time we run this command, it’ll overwrite the previous nytimes.txt file.
    • Ideally we’d want to put the date and time in our filename so that each time, it produces a unique filename.
    • This downloads and saves the NYTimes homepage every 10 minutes with a datestamped filename prefixed with nytimes */10 * * * * curl > ~/Desktop/nytimes+date +”%Y-%m-%d-%I-%M”.txt
  • We can also just tell crontab to run a Python scraper script every 10 minutes! */10 * * * * python3
    • Note that while we can write our scraper in a Jupyter notebook, we will want to download it as a .py file in order to run the scraper from the command line.

This is the scraper we wrote in class:

import requests
from bs4 import BeautifulSoup

# Grab the NYT homepage
response = requests.get("")

# Feed it into BeautifulSoup
doc = BeautifulSoup(response.text, 'html.parser')

stories = doc.find_all("article", { 'class': 'story' })

# Scrape to find headlines and bylines; save to a list of dictionaries
all_stories = []
# Grab their headlines and bylines
for story in stories:
    # Grab all of the h2's inside of the story
    headline = story.find('h2', {'class': 'story-heading'})
    # If a headline exists, then process the rest!
    if headline:
        # They're COVERED in whitespace
        headline_text = headline.text.strip()
        # Make a dictionary with the headline
        this_story = { 'headline': headline_text }
        byline = story.find('p', {'class': 'byline'})
        # Not all of them have a byline
        if byline:
            byline_text = byline.text.strip()
            this_story['byline'] = byline_text

import pandas as pd
# Save our list of dictionaries as a DataFrame
stories_df = pd.DataFrame(all_stories)

# We use this to save the current time to 'datestring'
import time
datestring = time.strftime("%Y-%m-%d-%H-%M")

# We create a string that includes our timestamp
# We save the scraped data into a .csv with a unique, time/datastamped file name!
filename = "../nyt-data-" + datestring + ".csv"
stories_df.to_csv(filename, index=False